**File:**
********
CoRhPb2O6: theoretical powder X-ray diffraction pattern (CuKα), based on a PBE+U-relaxed structure.
Neutral-atom scattering factors, no anomalous dispersion.

```
data_CoRhPb2O6
_chemical_formula_sum 'Co1 Rh1 Pb2 O6'
_cell_length_a 5.481
_cell_length_b 5.481
_cell_length_c 4.735
_cell_angle_alpha 90.00
_cell_angle_beta 90.00
_cell_angle_gamma 90.00
_symmetry_space_group_name_H-M 'P 4 m m'
_symmetry_Int_Tables_number 99
loop_
_symmetry_equiv_pos_as_xyz
'x,y,z'
'-y,x,z'
'-x,-y,z'
'y,-x,z'
'-x,y,z'
'y,x,z'
'x,-y,z'
'-y,-x,z'
loop_
_atom_site_label
_atom_site_type_symbol
_atom_site_fract_x
_atom_site_fract_y
_atom_site_fract_z
Co1 Co 0.000 0.000 0.000
Rh1 Rh 0.500 0.500 0.036
Pb1 Pb 0.000 0.500 0.455
O1 O 0.000 0.000 0.636
O2 O 0.251 0.251 0.138
O3 O 0.500 0.500 0.648
```

Principal peaks in the range 2θ from 10° to 80°, by angle:
- hkl 0 0 1, 18.7 deg, I = 16
- hkl 1 1 0, 22.9 deg, I = 12
- hkl 1 1 1, 29.8 deg, I = 100
- hkl 2 0 0, 32.7 deg, I = 39
- hkl 0 0 2, 38.0 deg, I = 26
- hkl 1 1 2, 44.9 deg, I = 14
- hkl 2 2 0, 46.9 deg, I = 21
- hkl 2 0 2, 51.0 deg, I = 28
- hkl 3 1 1, 56.5 deg, I = 34
- hkl 2 2 2, 61.9 deg, I = 10

~~~~~

# TiMnZnO4
Computed X-ray diffraction stick pattern, Cu Kα, 1.54184 Å. Input: a DFT-relaxed cell (GGA+U, Alexandria).
Neutral-atom scattering factors, no anomalous dispersion.

Cell and atoms:
Lattice parameters (Å, degrees): 5.942 6.030 8.434 90.00 90.00 90.00
Space group Imma (No. 74)
********
**Job:**
Please return the lines above from the one with "Rh1 Rh" to the one with "Imma (No." unchanged.
**Completed:**
Rh1 Rh 0.500 0.500 0.036
Pb1 Pb 0.000 0.500 0.455
O1 O 0.000 0.000 0.636
O2 O 0.251 0.251 0.138
O3 O 0.500 0.500 0.648
```

Principal peaks in the range 2θ from 10° to 80°, by angle:
- hkl 0 0 1, 18.7 deg, I = 16
- hkl 1 1 0, 22.9 deg, I = 12
- hkl 1 1 1, 29.8 deg, I = 100
- hkl 2 0 0, 32.7 deg, I = 39
- hkl 0 0 2, 38.0 deg, I = 26
- hkl 1 1 2, 44.9 deg, I = 14
- hkl 2 2 0, 46.9 deg, I = 21
- hkl 2 0 2, 51.0 deg, I = 28
- hkl 3 1 1, 56.5 deg, I = 34
- hkl 2 2 2, 61.9 deg, I = 10

~~~~~

# TiMnZnO4
Computed X-ray diffraction stick pattern, Cu Kα, 1.54184 Å. Input: a DFT-relaxed cell (GGA+U, Alexandria).
Neutral-atom scattering factors, no anomalous dispersion.

Cell and atoms:
Lattice parameters (Å, degrees): 5.942 6.030 8.434 90.00 90.00 90.00
Space group Imma (No. 74)